Hi there, I'm Rainbow Spade. I'm once again searching for a roleplaying partner! biggrin

In the past, I have given vague requirements and little information about my own roleplaying habits, but I'm here to change that! 3nodding Please bear with me.

My habits:
♠I'm on every day, if I'm not, I'll try to let you know before hand.
♠I almost never know what I'd like to roleplay about.
♠I love playing the role of girl, but being a guy suits me just as well.
♠I usually, when playing a girl, make her all cute and giggly, sarcastic and evil, or very very shy.
♠When playing a guy, I make him obsessed with the girl, or so he barely notices her, and is 'too cool'.
♠I'm understanding if you don't have much to post, a slow day.
♠I don't post large amounts of paragraphs, sometimes, I may not have much to post, but usually it's just three to four lines.
♠I am completely literate.
♠I love making awkward moments for characters, it's just fun.
♠I'm into long term roleplays.
♠I love gore, romance and action.
♠Guns, sharp objects, blood....♥
♠Vampires, strange powers....♥
♠I only roleplay in PM form.

My rules:
♠ You have to be one hundred percent literate. This means you:
~Use capitalizations.
~Use puntuation. (i.e. commas, aposrophies.)
~Know how to spell correctly.
~And type out words.
I don't want to see any responses in my inbox like this.
hi i want to rp with u

Hey whats up wanna rp?

What I'd like to see is something like this.
Hi, I saw your post in the forum, and I'd be interested in roleplaying with you. I like number __/ could we do something else?

♠You have to be on at least five out of seven days of the week. I'm impatient, I don't like waiting. xp
♠You have to have a love for the roleplay itself, along with your character. Give it some life.
♠ be one of those people who isn't afraid to comment on their own post. Or mine.
(Dun dun dun!!)

(Wow. Unexpected.)

(lol, that was funny.)

Or something like that. sweatdrop
♠if you don't have much to post, don't worry about it, and just go ahead, I'll understand, I might be having the same problem, you could even tell me so.

Additional... stuff:
This time, I've got pictures that I'd like to base some roleplays on. If you don't want to, it's okay, too. But I'd suggest checking them out. I picked them for a reason, they're cool. lol. Oh, and yes, if we choose to do one of these pictures, your character is going to look like the one in the picture. Try to make your personalitly match the way they look in the picture.

## Crystal structures, kept here for reference
Record 1
Mg3NF3: optimized geometry, r²SCAN.

extended XYZ file:
```
7
Lattice="-3.337 -2.550 0.118 1.961 -2.437 2.804 -1.633 2.282 3.126" Properties=species:S:1:pos:R:3 pbc="T T T"
F -1.668 -1.275 0.059
F 0.981 -1.219 1.402
F -0.817 1.141 1.563
Mg 0.164 -0.077 2.965
Mg -2.485 -0.134 1.622
Mg -0.688 -2.493 1.461
N -1.505 -1.352 3.024
```

Energy of formation from the pure elements: -2814.3 meV/atom
Total magnetization: 0.000 μB per cell
Symmetry: Pm-3m (221)
Crystal system: cubic
Final energy: -7.245 eV per atom

---

Record 2
Ta2CrRe: optimized geometry, r²SCAN.

extended XYZ file:
```
4
Lattice="0.000 3.146 3.146 3.146 0.000 3.146 3.146 3.146 0.000" Properties=species:S:1:pos:R:3 pbc="T T T"
Ta 4.719 4.719 4.719
Ta 1.573 1.573 1.573
Cr 3.146 3.146 3.146
Re 0.000 0.000 0.000
```

Energy of formation from the pure elements: -233.0 meV/atom
Total magnetization: 0.001 μB per cell
Symmetry: Fm-3m (225)
Crystal system: cubic
Final energy: -41.400 eV per atom

---

Record 3
KSiH3: optimized geometry, r²SCAN.

extended XYZ file:
```
20
Lattice="-1.370 -4.278 2.816 3.888 2.197 5.229 -6.870 4.357 3.278" Properties=species:S:1:pos:R:3 pbc="T T T"
H -4.562 -0.055 5.183
H -2.456 0.179 4.457
H -6.852 0.336 6.769
H 2.500 1.941 4.554
H -1.318 3.903 5.678
H -3.034 -1.626 5.645
H -1.896 2.098 6.866
H 0.210 2.331 6.139
H -0.703 -1.994 4.114
H -3.649 4.271 7.209
H 1.922 0.136 5.742
H -6.274 2.141 5.581
Si 1.874 0.561 4.259
Si -3.560 -0.897 4.390
Si -6.226 1.716 7.064
Si -0.792 3.174 6.932
K -1.039 0.067 2.092
K -3.313 2.209 9.231
K -3.689 2.689 4.787
K -0.663 -0.413 6.536
```

Energy of formation from the pure elements: -188.0 meV/atom
Total magnetization: 0.000 μB per cell
Symmetry: Pnma (62)
Crystal system: orthorhombic
Final energy: -5.220 eV per atom

---

Record 4
LiEr4Ge4: optimized geometry, r²SCAN.

extended XYZ file:
```
36
Lattice="7.052 0.000 0.000 0.000 7.609 0.000 0.000 0.000 14.502" Properties=species:S:1:pos:R:3 pbc="T T T"
Er 1.204 5.148 5.402
Er 3.643 2.383 1.426
Er 6.935 6.188 13.076
Er 2.322 1.343 12.653
Er 3.409 5.225 8.677
Er 0.117 1.421 1.426
Er 4.730 6.265 5.402
Er 2.322 1.343 9.100
Er 3.643 2.383 5.825
Er 5.848 2.461 12.653
Er 5.848 2.461 9.100
Er 3.409 5.225 13.076
Er 0.117 1.421 5.825
Er 6.935 6.188 8.677
Er 1.204 5.148 1.849
Er 4.730 6.265 1.849
Ge 0.130 0.667 10.876
Ge 1.530 2.775 3.625
Ge 5.056 1.029 3.625
Ge 1.181 3.546 7.778
Ge 4.707 0.258 7.778
Ge 5.871 4.063 0.527
Ge 3.396 4.472 3.625
Ge 5.522 4.834 10.876
Ge 6.922 6.942 3.625
Ge 2.345 7.351 6.724
Ge 3.657 3.137 10.876
Ge 4.707 0.258 13.975
Ge 1.996 6.579 10.876
Ge 2.345 7.351 0.527
Ge 1.181 3.546 13.975
Ge 5.871 4.063 6.724
Li 4.673 7.399 10.876
Li 2.379 0.210 3.625
Li 1.147 4.015 10.876
Li 5.905 3.594 3.625
```

Energy of formation from the pure elements: -924.5 meV/atom
Total magnetization: 0.067 μB per cell
Symmetry: Pnma (62)
Crystal system: orthorhombic
Final energy: -22.433 eV per atom

---

Record 5
Li2InFeP4O14: optimized geometry, r²SCAN.

extended XYZ file:
```
44

Comment: Like a city type thing, maybe? Like, maybe they've seen eachother and have a secret crush on one another?

Comment: Okay, I totally love this one. I'd imagine that the guy one the right would be a vampire or something, that's just me. But look at their expressions closely.

Comment: In this believe it or not, I was thinking New York mafia. Uhhh... seems pretty fun to me. wink

Comment: They look like vampires with their red eyes, right? They look pretty fun, too.

Comment: Nineteenth century victorian? I love the idea of it, so proper, but doesn't have to be exactly like that. (*cough cough*)

Comment: Time travel?

Comment: Just a bunch of regular kids, with a twist? I suppose, though, their names just might be Vincent and Ichi?

Comment: Besties turned lovers on accident?

Comment: I really love this idea. Short, younger girl, may be fourteen, fifteen? Older guy.

Comment: Love their looks, and the concept of the connection between them through the scarf. Maybe they could possibly be connected? I dunno.

Comment: Yes, red and the wolf. I like it, don't you?

Comment: Alice in wonderland-ishhhh??

Comment: I dunno, just like 'em.

Comment: I really like this one for some reason... pwease?

Comment: I was thinking the guy won't leave her alone? He's a 'bad seed' and is sorta abusive? Cities. Alleys. (sexually, emotionally, physically, verbally.)

Yep, that's about it for the pictures.
Werewolf X Vampire
Human X Vampire
Hunter X Vampire
Boy X Girl
Demon X Thingy : sweat :
Anything. (But no yaoi or yuri, sorry. And yes, I am a twilight fan.)

Thank you all so much for baring with me and listening. I really think this was pretty well written. So um, please send me a reply (in private message form) and I hope we can get started soon!!

(Yes, you may have seen this before, but it's been revamped!)

♥Rainbow Spade